Flagpole Destroyed
Near midnight on August 12 a vandal crept onto my front lawn and attempted to physically remove the anti-Israel flag that hangs from the tree there. What once was
in less than one minute. This trespass and malicious destruction of property has been reported to the Ann Arbor Police Department and we are anticipating reviewing evidence – including surveillance film footage – with AAPD’s Detective Department.
Looking Ahead (1)
Jewish Witnesses for Peace and Friends will celebrate ten years of standing up to Jewish Power in Ann Arbor on September 14. We are planning a belated private party due to some long-deserved vacations being planned by our regular vigilers.
Looking Ahead (2)
┌──
Density functional theory data (wB97M-V/def2-TZVPD) for C3H3N3O as an isolated structure.

Element x y z (Å)
N (2.31657, -0.60338, 0.72609)
C (1.22032, -0.71983, 0.23293)
N (-1.33627, 2.11595, -0.17293)
N (-1.25779, 1.36265, -1.06377)
O (-0.71439, 0.96271, 1.04605)
C (-1.00605, 0.09364, 0.04246)
C (-0.01612, -0.92984, -0.21809)
H (3.07502, -0.16782, 0.21024)
H (-2.03819, -0.26290, -0.06022)
H (-0.24310, -1.85117, -0.74275)

Values from the calculation:
- orbital gap (spin up / spin down) (eV) = 8.78 / 8.79
- energy above the lowest of the compared OMol25 structures with the same formula, charge and spin (kcal per mole) = 122.5

***

Density functional theory data (wB97M-V/def2-TZVPD) for one molecule with the formula C4H5NO.

Element x y z (Å)
C (0.72857, 1.23578, -0.70114)
C (-0.40726, 0.27828, -0.17715)
C (0.11648, -1.11199, 0.23161)
C (-0.85150, -1.73401, 1.17594)
H (-0.04514, 2.00492, -1.12399)
H (1.28458, 1.86123, 0.29919)
H (1.63262, 0.67344, -1.34062)
H (-1.12441, 0.66652, 0.60663)
H (-1.15783, 0.13225, -0.97365)
N (-1.40652, -2.46131, 1.90950)
O (1.23042, -1.54512, 0.09368)

Values from the calculation:
- SMILES = CCC(=O)C#N
- orbital gap (eV) = 10.68
- energy above the lowest of the compared OMol25 structures with the same formula, charge and spin (kcal per mole) = 57.2

***

Density functional theory data (wB97M-V/def2-TZVPD) for an isolated ion of composition C2H6NO3S and charge -1.

Element x y z (Å)
C (-0.45721, 1.50918, 0.21023)
C (-0.71624, -0.94530, 0.32019)
N (-0.00335, 0.18639, -0.09019)
O (2.01855, -1.36624, -0.06162)
O (2.20297, 0.79337, -1.16732)
O (-1.12535, -1.73522, -0.80082)
S (1.81874, 0.09367, 0.14844)
H (-1.31342, 1.80885, -0.54139)
H (-0.79571, 1.37028, 1.24950)
H (0.36730, 2.11084, 0.20604)
H (-1.59190, -0.74291, 0.96047)
H (-0.03528, -1.57652, 0.97301)
H (-0.36909, -1.50637, -1.40655)

Values from the calculation:
- orbital gap (eV) = 7.90
- net charge = -1
- energy above the lowest of the compared OMol25 structures with the same formula, charge and spin (kcal per mole) = 42.2

***

Density functional theory data (wB97M-V/def2-TZVPD) for C52H44AuN2OP2S2 as an isolated structure.

Element x y z (Å)
Au (0.25461, -0.32170, 1.59538)
O (-1.65239, 1.19150, 0.49648)
S (-0.73899, 1.33050, -0.65972)
C (-0.03269, 2.96600, -0.68942)
C (-0.70539, 4.16750, -0.56152)
C (-0.11559, 5.37970, -0.93812)
C (1.15031, 5.35720, -1.49432)
C (2.01001, 6.41610, -2.09002)
C (3.30551, 5.69980, -2.52732)
C (3.12431, 4.28060, -2.11512)
C (3.92481, 3.15550, -2.19312)
C (3.46951, 1.96390, -1.62362)
C (2.20661, 1.81300, -1.04772)
P (1.92421, 0.26240, -0.08852)
C (2.25891, -1.02760, -1.31472)
C (2.88121, -2.21610, -0.93232)
C (3.20941, -3.15610, -1.89392)
C (2.88861, -2.93840, -3.22542)
C (2.21021, -1.78710, -3.59652)
C (1.88971, -0.83310, -2.64682)
C (3.33171, 0.36590, 1.05628)
C (4.61391, -0.13780, 0.86598)
C (5.55881, 0.02180, 1.86718)
C (5.23831, 0.68300, 3.04298)
C (3.96651, 1.20700, 3.22598)
C (3.01931, 1.05030, 2.23578)
└──
September 14 is also the date of the 4th Annual Bill Henry International Eat-a-Cheeseburger Day “when we honor Bill Henry (né Herskovitz) for a decision that quite possibly saved an eight-year-old boy from a life of “Jewish chauvinism and exclusivismâ€.” This event coincides with Yom Kippur and JWPF anticipates a larger than normal crowd attending services at Beth Israel. Please help us meet this increased presence at a Zionist synagogue by standing with us that day.
Looking Ahead (3): Road Trip
• These molecular data were left in the text by mistake:
- - -
# 1
The following is a quantum chemistry calculation of a structure of composition C21H23Br9N4O2 in a non-equilibrium geometry, from OMol25.

Computed properties:
Spin multiplicity   2
Charge   +1
HOMO energy (alpha / beta)   -0.3387 / -0.3387 hartree
Gap between HOMO and LUMO (alpha / beta)   6.033 / 1.912 eV
Energy   -24349.13824 hartree

```
59
C21H23Br9N4O2 | OMol25 | ωB97M-V with the def2-TZVPD basis set
N 17.65 12.60 10.06
C 16.47 12.46 10.84
C 16.70 12.92 12.08
C 18.08 13.38 12.14
C 18.64 13.11 10.90
H 17.75 12.27 9.12
H 15.57 12.03 10.42
H 15.97 12.94 12.87
H 18.58 13.86 12.97
H 19.64 13.30 10.54
N 12.30 17.05 18.28
C 11.79 15.79 18.13
C 12.54 15.11 17.12
C 13.40 16.10 16.65
C 13.35 17.16 17.45
H 11.98 17.69 18.99
H 11.05 15.44 18.84
H 12.50 14.06 16.84
H 14.05 16.00 15.80
H 13.90 18.09 17.44
N 18.30 6.80 13.56
C 16.95 6.87 13.74
C 16.37 5.67 13.31
C 17.43 4.83 13.00
C 18.58 5.52 13.22
H 18.98 7.54 13.66
H 16.43 7.74 14.12
H 15.30 5.52 13.24
H 17.34 3.78 12.76
H 19.63 5.28 13.14
C 14.18 6.38 17.31
Br 15.72 5.25 17.25
Br 13.80 7.19 19.09
Br 12.60 5.51 16.43
H 14.45 7.25 16.70
C 13.66 8.60 11.30
Br 12.69 10.26 10.95
Br 13.16 7.87 13.10
Br 15.58 9.06 11.31
H 13.47 7.84 10.55
C 13.39 10.68 15.46
Br 13.43 12.18 14.14
Br 12.78 11.25 17.21
Br 15.19 9.83 15.60
H 12.70 9.88 15.20
C 8.09 11.18 19.72
C 8.05 11.53 21.04
C 9.15 12.23 21.56
C 10.13 12.69 20.77
C 10.09 12.32 19.40
C 9.09 11.54 18.89
N 11.23 13.59 21.32
O 11.30 13.91 22.51
O 12.12 14.00 20.61
H 7.21 10.63 19.40
H 7.22 11.30 21.68
H 9.17 12.58 22.58
H 10.73 12.76 18.64
H 9.04 11.19 17.88
```


# 2
The following is a quantum chemistry calculation of the ion C9H20N4 with charge +2 in a non-equilibrium geometry, from OMol25.

Computed properties:
Charge   +2
HOMO energy   -0.6150 hartree
Gap between HOMO and LUMO   9.401 eV
Energy relative to the best compared isomer or geometry (same formula, charge and spin)   112.1 kJ/mol
SMILES string   CC([NH+]=C1N(C)CCN1C)=[N+](C)C
Energy   -573.25655 hartree

```
33
C9H20N4 | OMol25 | ωB97M-V with the def2-TZVPD basis set
C 0.99 -0.13 0.42
C -0.74 -0.90 -1.27
C 1.77 1.80 1.42
C 1.93 0.63 2.41
C -0.77 -1.92 -2.34
C 0.87 1.90 -1.07
C 1.43 -1.75 2.33
C -2.87 -0.03 -1.92
C -1.82 0.76 0.24
N 1.13 1.16 0.21
N 1.39 -0.47 1.68
N -1.73 -0.11 -0.92
N 0.38 -1.07 -0.46
H 0.94 2.60 1.74
H 2.68 2.15 1.04
H 3.06 0.58 2.72
H 1.31 0.60 3.24
H -1.93 -2.27 -2.50
H -0.19 -2.78 -2.18
H -0.37 -1.61 -3.19
H 0.20 2.78 -1.17
H 1.84 2.21 -1.30
H 0.46 1.29 -1.75
H 0.63 -2.52 2.08
H 1.14 -1.69 3.33
H 2.48 -2.01 2.45
H -3.69 -0.90 -1.66
H -3.38 0.83 -1.63
H -2.38 -0.20 -2.85
H -1.24 1.73 0.17
H -2.95 1.11 0.32
H -1.62 0.06 1.01
H 1.04 -1.81 -0.61
```


# 3
The following is a quantum chemistry calculation of a structure of composition C12H24AsF5MoO2SbTe in a non-equilibrium geometry, from OMol25.

Computed properties:
Charge   +3
HOMO energy (alpha / beta)   -0.6871 / -0.6870 hartree
Gap between HOMO and LUMO (alpha / beta)   6.698 / 6.695 eV
- - -
Two directors of Deir Yassin Remembered will visit Ann Arbor and vigil with us on September 28. Dan McGowan and Paul Eisen will join our ranks and help protest inordinate Jewish Power on that date. We plan then to load the vehicles and pay a visit to free speech advocate Ingrid Zundel in Pigeon Forge, TN, followed by a visit to the Washington, DC offices of [ital]The Washington Report on Middle East Affairs.
We are also trying to acquire a venue where Messrs. McGowan and Eisen may address interested members of Ann Arbor’s peace community on Friday evening, September 27. Stay tuned for details.
Alice Walker Succumbs to Jewish Power
It’s now all over the internet that the University of Michigan invited author Alice Walker to speak at the Center for the Education of Women’s 50th anniversary event, then – based on threats from donors to withdraw funding – rescinded the invitation. Our Pinocchio Award has been issued to center Director Gloria D. Thomas who later denied that donors had any bearing on the decision.
That’s like denying the threat of funding loss had anything to do with the firing of former vigiler Dr. Catherine Wilkerson from the Packard Community Clinic in 2007. Or like the threat of funding loss was not a factor in the decision of the Interfaith Council for Peace and Justice to terminate its own Middle East Task Force. And one should not forget the brandishing of this Jewish Power in Dr. Barry Gross’ political threat to the Mayor and City Council members of Ann Arbor in his 2004 letter complaining of political inaction over his wish to have our vigils terminated.
Those who are insisting that it’s “Zionist Power” and not “Jewish Power” would do well to recall that, based on [ital]The Jewish State by Theodor Herzl, “Israel” was created and is maintained today as a “Jewish” state. They are also referred to Tony Martin’s book [ital]The Jewish Onslaught, in which the Jewish community of Wellesley, MA subjected him to the most outlandish ritual defamation over a subject that had nothing to do with Zionism.
Note: There was no vigil report for 08-03-13
August 3: 7 vigilers
August 10: 10 vigilers
“Israel” Out of US Government
Henry Herskovitz
Jewish Witnesses for Peace and Friends